Find the line further below that holds "-0.699 -2.248", then return that line and all lines after it there.

=====
ORCA calculation (wB97M-V/def2-TZVPD) on the molecule C3H6N4O at a distorted geometry.

## Properties
strongest force on any atom: 3.108 eV/A
relative energy (zero: lowest compared OMol25 entry of this formula, charge and spin): 2.157 eV
calculated total energy: -412.1297 Ha
highest occupied orbital energy: -8.68 eV
gap between HOMO and LUMO: 0.345 Ha

Geometry as ORCA input:
```
! wB97M-V def2-TZVPD RIJCOSX def2/J DEFGRID3
* xyz 0 1
C 0.928 0.009 -1.619
C -0.497 -1.283 -0.559
C -0.747 0.228 1.453
N 0.270 -1.062 -1.829
N -1.282 -2.241 -0.387
N -0.074 -0.287 0.300
N 1.727 0.658 -2.492
O 0.773 0.609 -0.399
H -0.095 0.966 1.918
H -1.712 0.697 1.223
H -0.907 -0.600 2.145
H -1.732 -2.255 0.522
H 2.000 0.138 -3.308
H 2.378 1.314 -2.096
*
```

Formally, the Mulliken partial charges of the atoms, in units of the elementary charge, are as follows: 0.537 0.514 -0.869 -0.583 -0.674 0.153 -0.407 -0.352 0.308 0.298 0.335 0.232 0.265 0.242

=====

ORCA calculation (wB97M-V/def2-TZVPD) on a structure of composition C31H46ClN4O9P2STi at a distorted geometry.

## Properties
strongest force on any atom: 2.805 eV/A
relative energy (zero: lowest compared OMol25 entry of this formula, charge and spin): 0.753 eV
calculated total energy: -4495.9587 Ha
highest occupied orbital energy (spin up / spin down): -2.20 / -4.32 eV
<S²>: 2.079
gap between HOMO and LUMO (spin up / spin down): 0.169 / 0.247 Ha

Geometry as ORCA input:
```
! wB97M-V def2-TZVPD RIJCOSX def2/J DEFGRID3
* xyz -1 3
Ti 1.514 0.259 0.350
N 5.594 1.826 1.876
C 4.340 1.333 1.531
S 3.956 1.243 -0.142
N 3.573 0.969 2.493
N 2.348 0.392 2.203
C 1.690 0.246 3.358
C 0.499 -0.452 3.636
C 0.032 -0.493 4.974
C -1.080 -1.215 5.340
C -1.777 -1.949 4.386
C -1.363 -1.907 3.056
C -0.265 -1.151 2.661
O 0.093 -1.035 1.359
H 5.980 2.422 1.163
H 5.634 2.206 2.810
H 2.204 0.676 4.212
H 0.591 0.063 5.717
H -1.405 -1.220 6.374
H -2.635 -2.545 4.666
H -1.913 -2.468 2.312
C -2.885 3.270 -2.105
C -2.247 1.897 -1.952
C -1.589 1.421 -3.234
O -1.207 1.990 -0.966
P -1.244 1.544 0.531
O 0.130 1.626 1.086
C -2.143 0.000 0.767
P -1.136 -1.318 -0.117
O -0.121 -0.766 -1.056
O -2.536 -1.493 -1.072
C -2.718 -2.464 -2.085
C -4.144 -2.303 -2.598
C -1.706 -2.346 -3.224
O -1.063 -2.912 0.172
C 0.113 -3.706 -0.103
C -0.406 -5.069 -0.540
C 1.031 -3.850 1.107
O -2.220 2.680 1.114
C -2.532 2.945 2.497
C -3.757 2.152 2.938
C -1.354 2.735 3.434
H -3.660 3.242 -2.871
H -2.119 3.988 -2.400
H -3.316 3.591 -1.157
H -2.991 1.162 -1.630
H -0.886 2.176 -3.591
H -2.339 1.236 -4.004
H -1.034 0.507 -3.025
H -3.146 0.075 0.361
H -2.190 -0.183 1.836
H -2.626 -3.460 -1.635
H -4.271 -1.305 -3.022
H -4.852 -2.423 -1.777
H -4.358 -3.048 -3.365
H -1.921 -1.461 -3.826
H -1.749 -3.229 -3.864
H -0.699 -2.248 -2.820
H 0.668 -3.238 -0.921
H -0.920 -5.546 0.296
H 0.424 -5.700 -0.857
H -1.106 -4.962 -1.369
H 0.442 -4.029 2.008
H 1.633 -2.959 1.246
H 1.700 -4.697 0.945
H -2.792 4.007 2.492
H -3.506 1.108 3.125
H -4.536 2.195 2.175
H -4.149 2.579 3.862
H -1.130 1.675 3.566
H -1.588 3.166 4.409
H -0.460 3.212 3.034
Cl 4.211 -2.386 -5.661
C 3.632 -2.024 -4.052
C 3.898 -2.924 -3.024
C 3.444 -2.620 -1.749
C 2.761 -1.440 -1.459
O 2.405 -1.183 -0.213
C 2.502 -0.509 -2.533
C 1.858 0.729 -2.342
O 1.424 1.211 -1.213
C 2.949 -0.857 -3.833
H 4.467 -3.823 -3.215
H 3.642 -3.293 -0.923
H 1.735 1.368 -3.220
H 2.753 -0.176 -4.651
C 3.168 4.456 -1.620
C 1.815 4.389 -0.903
C 1.933 4.058 0.514
N 2.021 3.950 1.655
H 3.033 4.855 -2.626
H 3.601 3.464 -1.680
H 3.863 5.095 -1.075
H 1.173 3.635 -1.363
H 1.316 5.360 -0.964
*
```
=====

H -0.699 -2.248 -2.820
H 0.668 -3.238 -0.921
H -0.920 -5.546 0.296
H 0.424 -5.700 -0.857
H -1.106 -4.962 -1.369
H 0.442 -4.029 2.008
H 1.633 -2.959 1.246
H 1.700 -4.697 0.945
H -2.792 4.007 2.492
H -3.506 1.108 3.125
H -4.536 2.195 2.175
H -4.149 2.579 3.862
H -1.130 1.675 3.566
H -1.588 3.166 4.409
H -0.460 3.212 3.034
Cl 4.211 -2.386 -5.661
C 3.632 -2.024 -4.052
C 3.898 -2.924 -3.024
C 3.444 -2.620 -1.749
C 2.761 -1.440 -1.459
O 2.405 -1.183 -0.213
C 2.502 -0.509 -2.533
C 1.858 0.729 -2.342
O 1.424 1.211 -1.213
C 2.949 -0.857 -3.833
H 4.467 -3.823 -3.215
H 3.642 -3.293 -0.923
H 1.735 1.368 -3.220
H 2.753 -0.176 -4.651
C 3.168 4.456 -1.620
C 1.815 4.389 -0.903
C 1.933 4.058 0.514
N 2.021 3.950 1.655
H 3.033 4.855 -2.626
H 3.601 3.464 -1.680
H 3.863 5.095 -1.075
H 1.173 3.635 -1.363
H 1.316 5.360 -0.964
*
```